Work order:
Repeat everything underneath character by character.

Contents:
Entry from the Materials Project: a relaxed structure of Na6MgZr7Si6S6O48 (PBE). Values from VASP.

Properties
The calculation puts the formation enthalpy at 0 K at -2844 meV/atom. Its space group is P1 (1). Its crystal system is triclinic. For the energy, the calculation gives -1625.13 eV for the cell shown.

Structure (Quantum ESPRESSO input):
```
&SYSTEM
  ibrav = 0, nat = 222, ntyp = 6
/
ATOMIC_SPECIES
Na 22.99 Na.upf
Mg 24.30 Mg.upf
Zr 91.22 Zr.upf
Si 28.09 Si.upf
S 32.06 S.upf
O 16.00 O.upf
ATOMIC_POSITIONS crystal
Na 0.6865 0.3784 0.2513
Na 0.9955 0.6446 0.2516
Na 0.9972 0.3554 0.7519
Na 0.4933 0.3590 0.7478
Na 0.1924 0.0178 0.7519
Na 0.6845 0.0093 0.7492
Na 0.9982 0.9984 0.4918
Na 0.5057 0.0015 0.4986
Na 0.0094 0.0138 0.9984
Na 0.5024 0.9903 0.9975
Na 0.3309 0.3330 0.8256
Na 0.8287 0.3269 0.8283
Na 0.3335 0.3313 0.3299
Na 0.8336 0.3343 0.3356
Na 0.1708 0.6665 0.1653
Na 0.6640 0.6642 0.1719
Na 0.1762 0.6674 0.6696
Na 0.6695 0.6640 0.6673
Mg 0.3334 0.3383 0.6915
Mg 0.8263 0.3280 0.6863
Mg 0.8345 0.3384 0.1852
Zr 0.9998 0.9859 0.3561
Zr 0.5038 0.0115 0.3559
Zr 0.0079 0.0221 0.8547
Zr 0.5043 0.9994 0.8472
Zr 0.9972 0.0060 0.6494
Zr 0.4998 0.0019 0.6534
Zr 0.0047 0.9960 0.1504
Zr 0.5003 0.0022 0.1468
Zr 0.3340 0.3382 0.1864
Zr 0.3255 0.3318 0.9835
Zr 0.8332 0.3243 0.9759
Zr 0.3351 0.3463 0.4776
Zr 0.8313 0.3309 0.4740
Zr 0.1598 0.6555 0.0178
Zr 0.6599 0.6738 0.0204
Zr 0.1611 0.6556 0.5171
Zr 0.6665 0.6696 0.5134
Zr 0.1633 0.6614 0.3163
Zr 0.6678 0.6637 0.3170
Zr 0.1711 0.6710 0.8163
Zr 0.6705 0.6789 0.8099
Si 0.1491 0.0021 0.2518
Si 0.8523 0.7043 0.2479
Si 0.4989 0.2936 0.2499
Si 0.1490 0.2973 0.7483
Si 0.6506 0.2971 0.7493
Si 0.4959 0.7010 0.7492
Si 0.3524 0.9989 0.7503
Si 0.8561 0.0064 0.7501
Si 0.4768 0.6240 0.0832
Si 0.1841 0.3345 0.0854
Si 0.0210 0.3772 0.9149
Si 0.1677 0.9606 0.9170
Si 0.6622 0.9580 0.9157
Si 0.8132 0.9562 0.4158
Si 0.1654 0.3718 0.4157
Si 0.6656 0.3768 0.4171
Si 0.0210 0.6659 0.4173
Si 0.5218 0.6692 0.4154
S 0.6463 0.0018 0.2485
S 0.3553 0.7123 0.2506
S 0.9981 0.2900 0.2490
S 0.9978 0.7072 0.7496
S 0.4782 0.3332 0.5845
S 0.9775 0.3346 0.5850
S 0.1887 0.0423 0.5846
S 0.6880 0.0424 0.5846
S 0.3336 0.6244 0.5844
S 0.8334 0.6213 0.5849
S 0.9766 0.6208 0.0844
S 0.3332 0.0419 0.0832
S 0.8337 0.0453 0.0845
S 0.6898 0.3347 0.0840
S 0.3139 0.6693 0.9182
S 0.8113 0.6661 0.9182
S 0.5206 0.3747 0.9171
S 0.3112 0.9563 0.4177
O 0.1012 0.0277 0.3057
O 0.6061 0.0290 0.2996
O 0.4068 0.7922 0.3016
O 0.9162 0.7952 0.3023
O 0.4882 0.1677 0.3038
O 0.9865 0.1905 0.3008
O 0.1021 0.1710 0.8034
O 0.6044 0.1715 0.8044
O 0.4853 0.7947 0.8055
O 0.9857 0.7846 0.8007
O 0.4138 0.0306 0.8057
O 0.9163 0.0293 0.8048
O 0.3977 0.9653 0.6946
O 0.8991 0.9696 0.6936
O 0.0822 0.1979 0.6945
O 0.5855 0.2085 0.6946
O 0.0136 0.8185 0.6983
O 0.5206 0.8338 0.6949
O 0.3971 0.8163 0.1985
O 0.9002 0.8264 0.1921
O 0.0128 0.2129 0.1978
O 0.5132 0.1918 0.1954
O 0.0858 0.9617 0.1956
O 0.5916 0.9776 0.1973
O 0.4379 0.3525 0.6359
O 0.9403 0.3573 0.6372
O 0.2387 0.1210 0.6362
O 0.7382 0.1218 0.6366
O 0.3211 0.5189 0.6344
O 0.8244 0.5191 0.6360
O 0.4350 0.5077 0.1393
O 0.9383 0.5193 0.1364
O 0.3211 0.1204 0.1348
O 0.8203 0.1260 0.1350
O 0.2458 0.3585 0.1393
O 0.7389 0.3538 0.1365
O 0.2297 0.3051 0.0287
O 0.7305 0.3102 0.0332
O 0.4214 0.5331 0.0261
O 0.9244 0.5360 0.0332
O 0.3478 0.1470 0.0319
O 0.8430 0.1500 0.0324
O 0.2294 0.1462 0.5329
O 0.7308 0.1476 0.5336
O 0.3431 0.5403 0.5319
O 0.8446 0.5415 0.5330
O 0.4253 0.3129 0.5328
O 0.9272 0.3136 0.5337
O 0.2712 0.6884 0.9688
O 0.7697 0.6869 0.9693
O 0.0796 0.4645 0.9712
O 0.5761 0.4615 0.9681
O 0.1581 0.8414 0.9724
O 0.6553 0.8405 0.9714
O 0.2710 0.8510 0.4689
O 0.7679 0.8400 0.4728
O 0.1580 0.4743 0.4719
O 0.6503 0.4621 0.4733
O 0.0826 0.6931 0.4722
O 0.5784 0.6983 0.4730
O 0.0648 0.6383 0.3597
O 0.5635 0.6356 0.3595
O 0.2596 0.8796 0.3657
O 0.7523 0.8730 0.3602
O 0.1851 0.4995 0.3611
O 0.6817 0.4830 0.3580
O 0.0626 0.4875 0.8571
O 0.5616 0.4774 0.8652
O 0.1803 0.8716 0.8589
O 0.6806 0.8734 0.8600

Written answer:
Entry from the Materials Project: a relaxed structure of Na6MgZr7Si6S6O48 (PBE). Values from VASP.

Properties
The calculation puts the formation enthalpy at 0 K at -2844 meV/atom. Its space group is P1 (1). Its crystal system is triclinic. For the energy, the calculation gives -1625.13 eV for the cell shown.

Structure (Quantum ESPRESSO input):
```
&SYSTEM
  ibrav = 0, nat = 222, ntyp = 6
/
ATOMIC_SPECIES
Na 22.99 Na.upf
Mg 24.30 Mg.upf
Zr 91.22 Zr.upf
Si 28.09 Si.upf
S 32.06 S.upf
O 16.00 O.upf
ATOMIC_POSITIONS crystal
Na 0.6865 0.3784 0.2513
Na 0.9955 0.6446 0.2516
Na 0.9972 0.3554 0.7519
Na 0.4933 0.3590 0.7478
Na 0.1924 0.0178 0.7519
Na 0.6845 0.0093 0.7492
Na 0.9982 0.9984 0.4918
Na 0.5057 0.0015 0.4986
Na 0.0094 0.0138 0.9984
Na 0.5024 0.9903 0.9975
Na 0.3309 0.3330 0.8256
Na 0.8287 0.3269 0.8283
Na 0.3335 0.3313 0.3299
Na 0.8336 0.3343 0.3356
Na 0.1708 0.6665 0.1653
Na 0.6640 0.6642 0.1719
Na 0.1762 0.6674 0.6696
Na 0.6695 0.6640 0.6673
Mg 0.3334 0.3383 0.6915
Mg 0.8263 0.3280 0.6863
Mg 0.8345 0.3384 0.1852
Zr 0.9998 0.9859 0.3561
Zr 0.5038 0.0115 0.3559
Zr 0.0079 0.0221 0.8547
Zr 0.5043 0.9994 0.8472
Zr 0.9972 0.0060 0.6494
Zr 0.4998 0.0019 0.6534
Zr 0.0047 0.9960 0.1504
Zr 0.5003 0.0022 0.1468
Zr 0.3340 0.3382 0.1864
Zr 0.3255 0.3318 0.9835
Zr 0.8332 0.3243 0.9759
Zr 0.3351 0.3463 0.4776
Zr 0.8313 0.3309 0.4740
Zr 0.1598 0.6555 0.0178
Zr 0.6599 0.6738 0.0204
Zr 0.1611 0.6556 0.5171
Zr 0.6665 0.6696 0.5134
Zr 0.1633 0.6614 0.3163
Zr 0.6678 0.6637 0.3170
Zr 0.1711 0.6710 0.8163
Zr 0.6705 0.6789 0.8099
Si 0.1491 0.0021 0.2518
Si 0.8523 0.7043 0.2479
Si 0.4989 0.2936 0.2499
Si 0.1490 0.2973 0.7483
Si 0.6506 0.2971 0.7493
Si 0.4959 0.7010 0.7492
Si 0.3524 0.9989 0.7503
Si 0.8561 0.0064 0.7501
Si 0.4768 0.6240 0.0832
Si 0.1841 0.3345 0.0854
Si 0.0210 0.3772 0.9149
Si 0.1677 0.9606 0.9170
Si 0.6622 0.9580 0.9157
Si 0.8132 0.9562 0.4158
Si 0.1654 0.3718 0.4157
Si 0.6656 0.3768 0.4171
Si 0.0210 0.6659 0.4173
Si 0.5218 0.6692 0.4154
S 0.6463 0.0018 0.2485
S 0.3553 0.7123 0.2506
S 0.9981 0.2900 0.2490
S 0.9978 0.7072 0.7496
S 0.4782 0.3332 0.5845
S 0.9775 0.3346 0.5850
S 0.1887 0.0423 0.5846
S 0.6880 0.0424 0.5846
S 0.3336 0.6244 0.5844
S 0.8334 0.6213 0.5849
S 0.9766 0.6208 0.0844
S 0.3332 0.0419 0.0832
S 0.8337 0.0453 0.0845
S 0.6898 0.3347 0.0840
S 0.3139 0.6693 0.9182
S 0.8113 0.6661 0.9182
S 0.5206 0.3747 0.9171
S 0.3112 0.9563 0.4177
O 0.1012 0.0277 0.3057
O 0.6061 0.0290 0.2996
O 0.4068 0.7922 0.3016
O 0.9162 0.7952 0.3023
O 0.4882 0.1677 0.3038
O 0.9865 0.1905 0.3008
O 0.1021 0.1710 0.8034
O 0.6044 0.1715 0.8044
O 0.4853 0.7947 0.8055
O 0.9857 0.7846 0.8007
O 0.4138 0.0306 0.8057
O 0.9163 0.0293 0.8048
O 0.3977 0.9653 0.6946
O 0.8991 0.9696 0.6936
O 0.0822 0.1979 0.6945
O 0.5855 0.2085 0.6946
O 0.0136 0.8185 0.6983
O 0.5206 0.8338 0.6949
O 0.3971 0.8163 0.1985
O 0.9002 0.8264 0.1921
O 0.0128 0.2129 0.1978
O 0.5132 0.1918 0.1954
O 0.0858 0.9617 0.1956
O 0.5916 0.9776 0.1973
O 0.4379 0.3525 0.6359
O 0.9403 0.3573 0.6372
O 0.2387 0.1210 0.6362
O 0.7382 0.1218 0.6366
O 0.3211 0.5189 0.6344
O 0.8244 0.5191 0.6360
O 0.4350 0.5077 0.1393
O 0.9383 0.5193 0.1364
O 0.3211 0.1204 0.1348
O 0.8203 0.1260 0.1350
O 0.2458 0.3585 0.1393
O 0.7389 0.3538 0.1365
O 0.2297 0.3051 0.0287
O 0.7305 0.3102 0.0332
O 0.4214 0.5331 0.0261
O 0.9244 0.5360 0.0332
O 0.3478 0.1470 0.0319
O 0.8430 0.1500 0.0324
O 0.2294 0.1462 0.5329
O 0.7308 0.1476 0.5336
O 0.3431 0.5403 0.5319
O 0.8446 0.5415 0.5330
O 0.4253 0.3129 0.5328
O 0.9272 0.3136 0.5337
O 0.2712 0.6884 0.9688
O 0.7697 0.6869 0.9693
O 0.0796 0.4645 0.9712
O 0.5761 0.4615 0.9681
O 0.1581 0.8414 0.9724
O 0.6553 0.8405 0.9714
O 0.2710 0.8510 0.4689
O 0.7679 0.8400 0.4728
O 0.1580 0.4743 0.4719
O 0.6503 0.4621 0.4733
O 0.0826 0.6931 0.4722
O 0.5784 0.6983 0.4730
O 0.0648 0.6383 0.3597
O 0.5635 0.6356 0.3595
O 0.2596 0.8796 0.3657
O 0.7523 0.8730 0.3602
O 0.1851 0.4995 0.3611
O 0.6817 0.4830 0.3580
O 0.0626 0.4875 0.8571
O 0.5616 0.4774 0.8652
O 0.1803 0.8716 0.8589
O 0.6806 0.8734 0.8600